Q: Dear Frank, Can you explain exposure therapy? A support pal is considering doing EMDR with a therapist and wants to know more about it.
A: Dear reader, Exposure therapy refers to many different techniques that mental health professionals use to help people overcome symptoms of PTSD and related conditions. The symptoms include anxiety, avoidance, flashbacks, and phobias. In some cases, the client has been afraid of objects or conditions that never caused them physical harm – like spiders or heights or public speaking. In other cases, the client is terrified of her or his own memory, usually of an event that occurred and that re-occurs in dreams or in vivid recollection.
Exposure means that the therapist gains the client’s confidence and manages to have them encounter the object or the situation that they dread, but this is done in ways that enable the person to experience mastery, overcoming the emotion of terror or disgust. Usually it requires lessons in “self-soothing” so that relaxation is achieved and sustained while fearful stimuli are experienced. There are two radically different schools of thought about experiencing dreaded stimuli. One school recommends creating a hierarchy from minimal to maximal stimulation, taking small steps to advance from mild to major stressors. A woman who was mauled by a large dog and who cannot go near a German Shepherd without collapsing in a state of terror begins looking at pictures of puppies. She does this with a trusted therapist near by. She breathes slowly and steadily. She is congratulated and encouraged. A week later, she looks at pictures of a medium sized dog. Eventually, she spends 20 minutes near a barking dog behind an electronic fence. In this approach, she never experiences terror or horror. She moves through successive approximations from tolerable exposure to major confrontation. The psychologist Joseph Wolpe emphasized pairing relaxation training with this climb up a ladder of carefully arranged rungs, one small step at a time. He called it “reciprocal inhibition,” since relaxation was paired with stressful stimulation. It worked for phobias and fears – but it didn’t always last very long. Psychiatrist Isaac Marks discovered that staying in the presence of a dreaded stimulus for 40 to 45 minutes caused great anxiety, but eventually the fear response ended on its own. That was called “flooding.” If you didn’t drown in the flood of fear, you came out of the session with a cure that lasted. But this technique required considerable courage – courage on the part of the patient and the doctor! To prepare for a session of living with your worst fear, you needed to trust the therapist and you needed to learn ways to reduce the physical and mental components of anxiety.
In the 30 years following the creation of the PTSD diagnosis, and the recognition that millions of survivors were not only anxious, but were also prone to unwanted memories of dangerous, deadly and degrading encounters, several new techniques of exposure were invented. EMDR requires the client to follow a moving finger while holding a fearful image in the mind. Ochberg’s Counting Method requires the client to silently recall a dreadful event while the therapist counts to 100. Virtual reality techniques take the client to scenes of war or disaster, while in the sanctuary of a safe place. The exposure in these situations is to a memory or an image of something fearful, but that exposure is coupled with something that is soothing or comforting or predictable. The client tolerates stress and fear is extinguished.
The article is interrupted by records of molecules:
16
Properties=species:S:1:pos:R:3 method="wB97M-V/def2-TZVPD" lumo_energy_ev="0.0 / 0.0" charge=0 total_energy_ev=-23329.9026 relative_energy_kcal_mol=0.00
C -0.537 1.760 -1.782
C -0.155 -2.726 -0.283
C 0.190 0.603 2.124
O -0.553 0.404 -1.452
O -1.164 -1.839 -0.390
Si -1.105 -0.275 -0.130
I -3.540 0.280 0.159
H -1.176 2.363 -1.059
H -0.746 1.814 -2.916
H 0.411 2.240 -1.742
H 0.228 -2.484 0.840
H 0.647 -2.668 -1.005
H -0.488 -3.810 -0.285
H -0.683 0.692 2.770
H 0.669 -0.392 2.227
H 0.569 1.439 1.608

13
Properties=species:S:1:pos:R:3 method="wB97M-V/def2-TZVPD" lumo_energy_ev="3.4 / 3.3" s_squared=0.753 charge=-1 total_energy_ev=-4744.2707 relative_energy_kcal_mol=25.04 spin_multiplicity=2
C 2.809 0.972 1.663
C 1.726 0.793 0.579
H 3.464 1.798 1.383
H 3.298 0.009 1.757
H 2.336 1.371 2.563
H 2.222 0.464 -0.335
H 1.053 -0.028 0.827
H 1.146 1.664 0.279
C -3.293 -1.156 -1.614
N -3.813 -2.373 -1.704
H -2.865 -0.753 -0.694
H -3.433 -0.400 -2.409
H -4.652 -2.360 -2.295

~~~~~

Entry 1:
Below is a 5-piece molecular cluster, C6H17NO4 overall, with properties calculated with ωB97M-V with the def2-TZVPD basis set.

Last column: Löwdin charge in e.
Cartesian coordinates (Å):
C 1.9153 -2.3359 0.5772  -0.017
C 0.6487 -1.5954 0.3664  -0.250
C 0.1750 -0.4773 1.0257  0.034
N -1.1562 -0.2124 0.6360  0.150
C -1.3506 -0.9932 -0.4762  -0.199
C -0.3126 -1.9507 -0.5841  0.079
C -2.5199 -0.8617 -1.4003  0.037
H 1.9078 -2.8347 1.5748  0.121
H 2.2168 -2.8889 -0.3050  0.091
H 2.8032 -1.6692 0.5342  0.087
H 0.6405 -0.0212 1.8730  0.140
H -1.9229 0.1980 1.1573  0.160
H -0.4298 -2.7912 -1.2654  0.148
H -2.2489 -1.4840 -2.2383  0.089
H -3.4945 -1.1668 -0.9652  0.127
H -2.5495 0.1885 -1.6565  0.090
H -1.8872 2.7391 0.8140  0.008
H -2.8508 2.2173 -0.3696  0.052
O -2.6618 2.1969 0.5828  -0.061
H 1.8274 0.8251 0.0347  0.025
H 3.0567 0.9325 1.0785  0.079
O 2.1648 1.2190 0.8410  -0.036
H 0.6566 3.4176 1.7695  0.064
H 0.0320 2.4265 0.7796  0.008
O -0.1243 3.2653 1.2259  -0.040
H 2.1769 -1.0526 -3.0594  0.041
H 2.6366 -0.5507 -1.6994  0.014
O 2.3243 -0.2438 -2.5671  -0.041

Calculated total energy ... -16169.587 eV
Energy above the lowest of the compared OMol25 structures with the same formula, charge and spin ... 0.00 kJ/mol
HOMO energy (spin up / spin down) ... -14.1007 / -14.3049 eV
Spin multiplicity ... 2
LUMO level (spin up / spin down) ... -3.4 / -7.0 eV
⟨S²⟩ ... 0.762
Total charge ... +1

Entry 2:
Below is the molecule C18H18FNO3, with properties calculated with ωB97M-V with the def2-TZVPD basis set.

Last column: Löwdin charge in e.
Cartesian coordinates (Å):
C -2.4377 1.7468 -0.8486  -0.032
C -1.2207 1.4474 -1.6505  -0.272
C -0.6349 0.2450 -1.9135  0.011
C 0.5122 0.4895 -2.7210  -0.114
C 1.4849 -0.4632 -3.2091  -0.344
O 2.2255 -0.2725 -4.1524  0.085
C 1.5532 -1.8064 -2.4660  -0.070
O 1.1972 -1.7304 -1.0943  -0.031
C 1.9068 -0.8653 -0.3525  -0.495
O 2.8581 -0.2504 -0.7711  0.134
C 1.3937 -0.7317 1.0209  0.035
C 0.2249 -1.2409 1.4240  -0.013
C -0.3749 -1.0915 2.7382  -0.208
The article goes on:
Exposure is NOT psychoanalysis – in which unconscious fears are brought to the surface and exposed. Exposure is NOT cognitive behavioral therapy – in which thoughts are modified from self-stigmatizing references to self-confident references. Exposure IS an encounter with an object or an image or a memory that evokes powerful negative emotion, but that encounter is made tolerable. And once a person can tolerate a trigger, the trigger loses its power to deliver a bullet. The stress response is disarmed.